The third question we encounter in the Bible comes from the lips of God: “Why are you angry?” (Genesis 4:6). It was addressed to Cain, and it concerned his response to God’s rejection of his offering. God had rejected it, and Cain should have repented of it. But he didn’t. Instead he got angry.
== The entry is interrupted by calculated crystals ==
No. 1
Starting from a cell relaxed with GGA-PBE, the powder XRD pattern of SrAc2BO5 was computed for CuKα.
Peak positions follow from Bragg's law for the DFT cell and can differ from measured ones.

Most intense lines, 2θ = 5–70°, by intensity:
Position (°2θ), I_rel
29.81, 100
38.37, 80
30.61, 66
16.63, 61
54.88, 36
33.63, 29

Crystal structure
```
SrAc2BO5
1.0
-3.4922 3.4922 5.3297
3.4922 -3.4922 5.3297
3.4922 3.4922 -5.3297
Sr Ac B O
2 4 2 10
direct
0.2500 0.2500 0.0000
0.7500 0.7500 0.0000
0.1761 0.6761 0.8521
0.3239 0.1761 0.5000
0.6761 0.8239 0.5000
0.8239 0.3239 0.1479
0.2500 0.7500 0.5000
0.7500 0.2500 0.5000
0.0000 0.0000 0.0000
0.0415 0.7892 0.5000
0.2108 0.7108 0.2522
0.2892 0.5415 0.5000
0.4585 0.9585 0.7478
0.5000 0.5000 0.0000
0.5415 0.0415 0.2522
0.7108 0.4585 0.5000
0.7892 0.2892 0.7478
0.9585 0.2108 0.5000
```

---

No. 2
Starting from a cell relaxed with GGA-PBE, the powder XRD pattern of Ac2TlBO5 was computed for CuKα.
Peak positions follow from Bragg's law for the DFT cell and can differ from measured ones.

Most intense lines, 2θ = 5–70°, by intensity:
Position (°2θ), I_rel
29.88, 100
32.45, 65
24.01, 39
43.66, 34
27.87, 32
39.82, 32

Crystal structure
```
Ac2TlBO5
1.0
7.1579 0.0000 0.0000
0.0000 7.1579 0.0000
0.0000 0.0000 5.4420
Ac Tl B O
4 2 2 10
direct
0.1835 0.3165 0.0000
0.3165 0.8165 0.0000
0.6835 0.1835 0.0000
0.8165 0.6835 0.0000
0.0000 0.0000 0.5000
0.5000 0.5000 0.5000
0.0000 0.5000 0.5000
0.5000 0.0000 0.5000
0.0000 0.0000 0.0000
0.1116 0.6116 0.2878
0.1116 0.6116 0.7122
0.3884 0.1116 0.2878
0.3884 0.1116 0.7122
0.5000 0.5000 0.0000
0.6116 0.8884 0.2878
0.6116 0.8884 0.7122
0.8884 0.3884 0.2878
0.8884 0.3884 0.7122
```

---

No. 3
Starting from a cell relaxed with GGA-PBE, the powder XRD pattern of Ac3Tl4BO8 was computed for CuKα.
Peak positions follow from Bragg's law for the DFT cell and can differ from measured ones.

Most intense lines, 2θ = 5–70°, by intensity:
Position (°2θ), I_rel
28.60, 100
33.40, 95
28.09, 53
32.76, 48
29.25, 48
46.73, 36

Crystal structure
```
Ac3Tl4BO8
1.0
6.5242 -3.8009 0.0000
6.5242 3.8009 0.0000
-4.1375 0.0000 6.3534
Ac Tl B O
3 4 1 8
direct
0.0000 0.0000 0.0000
0.0000 0.5000 0.5000
0.5000 0.0000 0.5000
0.0000 0.0000 0.5000
0.0000 0.5000 0.0000
0.5000 0.0000 0.0000
0.5000 0.5000 0.5000
0.5000 0.5000 0.0000
0.1951 0.1951 0.6701
0.2172 0.7411 0.7516
0.2302 0.2302 0.2735
0.2589 0.7828 0.2484
0.7411 0.2172 0.7516
0.7698 0.7698 0.7265
0.7828 0.2589 0.2484
0.8049 0.8049 0.3299
```

=====

Diffraction record for RbMnVF6. The powder diffractogram is calculated, not measured: it uses a DFT-relaxed cell (PBE+U, Alexandria) and CuKα.
Neutral-atom scattering factors, no anomalous dispersion.

Structure:
Cell lengths 5.5708, 5.5708, 6.0292 Å; angles 90.03, 90.03, 119.82 degrees
Atoms (fractional coordinates):
Rb: 0.0000 0.0000 0.0000
Mn: 0.3329 0.6671 0.5000
V: 0.6667 0.3333 0.5000
F: 0.3855 0.3632 0.3174
F: 0.3865 0.0231 0.6831
F: 0.6358 0.0224 0.3171
F: 0.6368 0.6145 0.6826
Anger fills the pages of Scripture. Some form of it (anger, indignation, wrath, rage, fury) is explicitly mentioned in at least 550 verses of the Bible, and that’s not including the places where it seems to be clearly implied (e.g. 1 Samuel 25:13, 33). And though both genders experience anger, it is noteworthy that the Bible never cites a specific woman being angry. God is angry with the wicked every day (Psalm 7:11)—and is therefore the one angered more than any other in the Bible—and thirty-plus men are recorded as being angry, but never once does the Bible explicitly state that a particular woman is angry. God speaks once of a type of woman who is angry (Proverbs 21:19), but this stands as an isolated case. And this accords with our own experience. Men seem to be more inclined towards anger than women.
-- Inserted here: records of crystals --
-- begin --
(1)
This entry pairs a crystal structure of LaWN3 with its theoretical powder XRD pattern. Radiation: Cu Kα. Structure: DFT lattice parameters and positions (PBE).

Largest 8 diffraction maxima, by intensity, 10° ≤ 2θ ≤ 90°:
31.6°, I = 100, (1 2 1); 56.3°, I = 24, (2 4 0); 31.4°, I = 20, (0 0 2); 45.2°, I = 20, (2 0 2); 56.1°, I = 17, (1 2 3); 65.9°, I = 12, (2 4 2); 75.0°, I = 10, (1 6 1); 45.3°, I = 10, (0 4 0)

Structure:
```
data_LaWN3
_cell_length_a 5.6547
_cell_length_b 8.0022
_cell_length_c 5.6926
_cell_angle_alpha 90.00
_cell_angle_beta 90.00
_cell_angle_gamma 90.00
_space_group_name_H-M_alt 'P n m a'
_space_group_IT_number 62
loop_
_space_group_symop_operation_xyz
'x,y,z'
'-x,-y,-z'
'-x+1/2,-y,z+1/2'
'x+1/2,y,-z+1/2'
'x+1/2,-y+1/2,-z+1/2'
'-x+1/2,y+1/2,z+1/2'
'-x,y+1/2,-z'
'x,-y+1/2,z'
loop_
_atom_site_label
_atom_site_type_symbol
_atom_site_fract_x
_atom_site_fract_y
_atom_site_fract_z
_atom_site_occupancy
La1 La 0.0177 0.2500 0.0020 1
W1 W 0.0000 0.0000 0.5000 1
N1 N 0.0051 0.7500 0.4413 1
N2 N 0.2274 0.5305 0.7707 1
```

(2)
This entry pairs a crystal structure of ErPb3 with its theoretical powder XRD pattern. Radiation: Cu Kα. Structure: DFT lattice parameters and positions (PBE).

Largest 8 diffraction maxima, by intensity, 10° ≤ 2θ ≤ 90°:
31.8°, I = 100, (1 1 1); 36.8°, I = 51, (2 0 0); 63.2°, I = 43, (3 1 1); 53.1°, I = 36, (2 2 0); 87.1°, I = 19, (3 3 1); 89.9°, I = 18, (4 2 0); 66.4°, I = 13, (2 2 2); 78.4°, I = 6, (4 0 0)

Structure:
```
data_ErPb3
_cell_length_a 4.8793
_cell_length_b 4.8793
_cell_length_c 4.8793
_cell_angle_alpha 90.00
_cell_angle_beta 90.00
_cell_angle_gamma 90.00
_space_group_name_H-M_alt 'P m -3 m'
_space_group_IT_number 221
_space_group_name_Hall '-P 4 2 3'
loop_
_atom_site_label
_atom_site_type_symbol
_atom_site_fract_x
_atom_site_fract_y
_atom_site_fract_z
_atom_site_occupancy
Er1 Er 0.0000 0.0000 0.0000 1
Pb1 Pb 0.0000 0.5000 0.5000 1
```

(3)
This entry pairs a crystal structure of BaCaSi with its theoretical powder XRD pattern. Radiation: Cu Kα. Structure: DFT lattice parameters and positions (PBE).

Largest 8 diffraction maxima, by intensity, 10° ≤ 2θ ≤ 90°:
28.2°, I = 100, (1 1 2); 28.9°, I = 93, (2 1 1); 20.0°, I = 41, (0 1 1); 31.0°, I = 38, (1 0 3); 35.4°, I = 32, (0 2 0); 20.7°, I = 23, (2 0 0); 47.7°, I = 22, (1 2 3); 54.3°, I = 22, (3 1 4)

Structure:
```
data_BaCaSi
_cell_length_a 8.5778
_cell_length_b 5.0725
_cell_length_c 9.1907
_cell_angle_alpha 90.00
_cell_angle_beta 90.00
_cell_angle_gamma 90.00
_space_group_name_H-M_alt 'P n m a'
_space_group_IT_number 62
loop_
_space_group_symop_operation_xyz
'x,y,z'
'-x,-y,-z'
'-x+1/2,-y,z+1/2'
'x+1/2,y,-z+1/2'
'x+1/2,-y+1/2,-z+1/2'
'-x+1/2,y+1/2,z+1/2'
'-x,y+1/2,-z'
'x,-y+1/2,z'
loop_
_atom_site_label
_atom_site_type_symbol
_atom_site_fract_x
_atom_site_fract_y
_atom_site_fract_z
_atom_site_occupancy
Ba1 Ba 0.0285 0.2500 0.1757 1
Ca1 Ca 0.1414 0.2500 0.5742 1
Si1 Si 0.2184 0.7500 0.3914 1
```

(4)
-- stop --
-- Back to the entry --
The New Testament writers use three distinct nouns when discussing “anger” or “wrath.” Noting the differences in these words can be helpful in understanding the proper exercise of anger. The two most common were thumos and orge.
Thumos is the more intense of the two, sometimes referring to rage, and is nearly always rendered “wrath” by the King James translators. It is used of people (Luke 4:28), God (Romans 2:8), even Satan (Revelation 12:12). It is more passionate and sudden than orge, but also more temporary. It is the word behind “outbursts of wrath” in 2 Corinthians 12:20 and Galatians 5:20 (NKJV). It is never used positively concerning people (though God can rightly exercise it, see Romans 2:8), is the word used to describe mob anger (Luke 4:28; Acts 19:28), and is listed among the works of the flesh (Galatians 5:20). Orge, on the other hand, though it also usually appears as “wrath” in the KJV, speaks to a less intense form of anger. It is less sudden, has a more enduring quality, and can occasionally be righteously experienced by us, as it is by Jesus (Mark 3:5), though this must be done with care: “Be angry and do not sin…” (Ephesians 4:26).
The third word rendered “wrath” in the New Testament appears only once. It is used by Paul when he enjoins the Ephesians to “not let the sun go down on your wrath” (Ephesians 4:26). The word is parorgismos, and speaks to a state of being intensely provoked, irritated, exasperated. Paul, then, was not saying that anger (assuming the cause is righteous) must always be abandoned before the day is over, but rather that we must take care not to nurse anger. If the cause is justifiable, the strong displeasure (the orge) may have occasion to remain for a time, but the intense provocation we felt when initially angered must go, and soon. Anger can be right, but a provoked, angry mood is not.
So what is a righteous cause for anger? When is it right to have orge? Jesus, of course, is our example. Though His two cleansings of the temple are often cited as occasions on which He was angry, the Bible never says so. Instead, it says the driving force behind His first cleansing was “zeal” (John 2:17), and concerning the second makes no comment. Jesus may have been angry, it is true, but we cannot say so with certainty. The only occasion on which we can be certain that Jesus got angry is recorded in Mark 3:1-5. On that occasion, Jesus was angered by the attitudes and actions of hard-hearted men who cared nothing for the truth, but who instead were looking only for something of which to falsely accuse Him. When asked a simple but important question, they refused to answer, not because they didn’t know the answer, but because giving it would have justified Jesus. And they didn’t want Jesus to be justified. This kind of willful sin made Jesus angry…as well as sad: “And when He had looked around at them with anger, being grieved by the hardness of their hearts…” (Mark 3:5).
-- Here the page breaks off for calculated crystals --
┌──
Theoretical powder diffractogram of Al3Ni20B6 for a wavelength of 1.5418 Å, from a cell relaxed with GGA-PBE.
Kinematic intensities with the Lorentz-polarization factor, no thermal factor.

Most intense lines, 2θ = 5–70°, by intensity:
Position (°2θ)  intensity  index
45.01  100  3 3 3
51.67  37  5 3 1
38.47  20  4 2 0
52.46  17  6 0 0
42.30  15  4 2 2
49.25  15  4 4 0

Structural model:
```
data_Al3Ni20B6
_chemical_formula_sum 'Al12 Ni80 B24'
_space_group_name_H-M_alt 'F m -3 m'
_space_group_IT_number 225
_space_group_name_Hall '-F 4 2 3'
_cell_length_a 10.4662
_cell_length_b 10.4662
_cell_length_c 10.4662
_cell_angle_alpha 90.00
_cell_angle_beta 90.00
_cell_angle_gamma 90.00
loop_
_atom_site_label
_atom_site_type_symbol
_atom_site_fract_x
_atom_site_fract_y
_atom_site_fract_z
Al1 Al 0.0000 0.0000 0.0000
Al2 Al 0.2500 0.2500 0.2500
Ni1 Ni 0.0000 0.1691 0.1691
Ni2 Ni 0.1175 0.1175 0.3825
B1 B 0.0000 0.0000 0.2738
```
└──
It is right to be angry at sin. Not all the time, nor even frequently, necessarily, but the time does come. Probably, our first response to sin should be grief. This is the Spirit’s response (Ephesians 4:30), and note how grief and anger are mentioned together in Scripture: Genesis 34:7, Genesis 45:5, and Mark 3:5. But situations can arise when anger is the proper response. When Saul was informed of the monstrous evil that Nahash, the king of Ammon, was planning to perpetrate, out of pure spite, against the innocents of Jabesh Gilead, the Scripture says: “[t]hen the Spirit of God came upon Saul when he heard this news, and his anger was greatly aroused” (1 Samuel 11:6). Anger was rightly aroused in Saul, even accompanied by the Spirit’s presence. Saul would either have had to be spineless, or wholly without moral conviction not to have been angry. Furthermore, anger, the strongest of our emotions, served to prompt him to take the necessary steps to right the wrong (1 Samuel 11:7). Anger is empowering, and once in a great while that power can serve a good purpose.
But here’s the catch. Though anger can be right at times, and its empowering qualities a help, neither generally turns out to be the case; hence, James’ injunction to be “slow to wrath (orge), for the wrath of man does not produce the righteousness of God” (James 1:19, 20). Some of us engage in internalization, some of us ventilation. Some of us clam up, some of us blow up. Some of us are pressure-cookers, others of us volcanoes. Some of us hurt ourselves, others of us hurt others. And therein lays one of the evils of anger. Anger is intended for destroying problems, but too often it becomes the tool for destroying people. And this is so wrong. “Let all things be done for edification (building up)” (1 Corinthians 14:26), not tearing down. And so Paul says to put it off (Colossians 3:8) and put it away (Ephesians 4:31), rare exceptions being understood (Ephesians 4:26).